Meet Francis Kamulegeya, one of our members who embarked on his savings journey early in life, demonstrating how wise financial planning can lead to a secure and fulfilling retirement. His inspiring story not only highlights his successful financial journey, but also highlights how he generously gave back to the community, leaving a lasting impact.
Tell us about yourself

My name is Francis Kamulegeya, I am married with 4 lovely daughters.

I recently transitioned out of full-time employment after 27 years of employment. By my retirement, I was serving as Managing Partner for PwC Uganda, a member of the PwC Africa Governance Board, and Head of Tax in Uganda.

I am currently self-employed in the agriculture value chain sector, specifically farming, encompassing the cultivation, roasting, processing, packaging, and sale of coffee. I am also involved in pond fish farming, focusing on Tilapia and Catfish .

I would not describe myself as retired because I am busier than ever before. Currently, I hold positions on four different Boards of Directors, with my most recent appointment being as Chairman of Buganda Land Board. I also run five different family businesses with my wife, friends, and partners.

When did you start your saving journey with NSSF?

I began my formal savings journey at the age of 24, approximately 31 years ago, while I was both working and pursuing my studies in the UK (United Kingdom).

This allowed me to save for my school fees, which proved to be a successful strategy. Through my savings, I was able to self-finance my education in accountancy, finance, and taxation, obtaining the qualifications that enabled me to join PwC in London.

I continued saving and bought property in England until 2003 when I returned to Uganda.

I subsequently became a member of NSSF and continued saving with them until December 2022 when I reached the age of 55 and received my retirement benefits.

When you commenced your savings journey with NSSF, how did you feel?

I have always considered myself to be financially literate even before I studied finance and accounting. My financial awareness goes back to my early days as a young boy in Masaka, where I engaged in small trades and earned money. As a student in London, I had to pay my own tuition fees, so it was a no brainer for me to start saving.

Unlike the sentiments we find in other people, I always looked at saving as one of the ways of securing my own future but most importantly looked at saving as a way of rewarding myself, since spending means you are rewarding someone else.

I had a very disciplined culture of saving. The one thing that got me well-grounded was a course I attended in 2003 about Personal Financial Planning where the instructor clearly emphasised the importance of saving and how to improve your current savings using a simple rule of thumb (divide your age by 2, take that as a percentage of your gross income, and that is how much you should be saving). According to this rule, the earlier you start saving, the lower the percentage of your income you need to set aside, especially when considering NSSF, given the power and magic of compounding.

How did you utilise your retirement benefits?

I planned to retire before my formal retirement age of 60 in PwC. I decided to retire at the age of 55, with a well-thought-out plan in mind.

My goal was to access my retirement benefits, supplement them with my other savings, and combine all income from my passive investments to support my various projects. One of the projects I have been running in my home city of Masaka is a school for special needs children that I initiated in 2003. This social project was kickstarted with personal funds and support from friends, family, and well-wishers to provide education to deaf children. Unfortunately, when these children finish primary level 7, the options for secondary education are severely limited due to financial constraints, a scarcity of special needs education secondary schools, and high unemployment rates.

To address this gap, in 2020, I took the initiative to establish a vocational training institute to provide opportunities not only for these children but also for the wider community in the greater Masaka region. This decision was motivated by the pressing need for specialised vocational training, the high unemployment rates, and a shortage of skilled entrepreneurs.

Using my retirement benefits and other savings, I launched the institute, which I believe is of world-class quality in terms of its spaciousness and well-equipped facilities. It is my dream to transform it into a centre of excellence, offering a range of skills, training programmes, particularly targeting Ugandans in the southern region who will be working on the oil and gas projects along the pipeline route that passes close to my village in Kyotera.

┌──
This entry pairs a crystal structure of Be7Sb with its computed X-ray powder pattern. Radiation: Cu Ka. Structure: the GGA-PBE geometry in Alexandria.
Peak positions follow from Bragg's law for the DFT cell and can differ from measured ones.

The 10 most intense peaks (10 to 80 degrees two-theta), sorted by position:
2θ 21.73, 4.089 Å, intensity 100; 2θ 25.15, 3.541 Å, intensity 53; 2θ 35.86, 2.504 Å, intensity 42; 2θ 42.33, 2.135 Å, intensity 53; 2θ 44.30, 2.045 Å, intensity 31; 2θ 51.62, 1.771 Å, intensity 14; 2θ 56.65, 1.625 Å, intensity 22; 2θ 58.26, 1.584 Å, intensity 20; 2θ 64.45, 1.446 Å, intensity 15; 2θ 68.89, 1.363 Å, intensity 16

Crystal structure
```
data_Be7Sb
_space_group_name_H-M_alt 'F m -3 m'
_space_group_IT_number 225
_space_group_name_Hall '-F 4 2 3'
_cell_length_a 7.082
_cell_length_b 7.082
_cell_length_c 7.082
_cell_angle_alpha 90.00
_cell_angle_beta 90.00
_cell_angle_gamma 90.00
loop_
_atom_site_label
_atom_site_type_symbol
_atom_site_fract_x
_atom_site_fract_y
_atom_site_fract_z
_atom_site_occupancy
Be1 Be 0.000 0.000 0.000 1
Be2 Be 0.000 0.250 0.250 1
Sb1 Sb 0.000 0.000 0.500 1
```


This entry pairs a crystal structure of AcAgSnPd2 with its computed X-ray powder pattern. Radiation: Cu Ka. Structure: the GGA-PBE geometry in Alexandria.
Peak positions follow from Bragg's law for the DFT cell and can differ from measured ones.

The 10 most intense peaks (10 to 80 degrees two-theta), sorted by position:
2θ 26.01, 3.426 Å, intensity 27; 2θ 29.01, 3.078 Å, intensity 78; 2θ 29.77, 3.001 Å, intensity 44; 2θ 32.58, 2.749 Å, intensity 34; 2θ 33.64, 2.664 Å, intensity 100; 2θ 36.18, 2.483 Å, intensity 29; 2θ 39.36, 2.289 Å, intensity 85; 2θ 43.01, 2.103 Å, intensity 38; 2θ 43.46, 2.082 Å, intensity 26; 2θ 71.31, 1.323 Å, intensity 25

Crystal structure
```
data_AcAgSnPd2
_space_group_name_H-M_alt 'C m m e'
_space_group_IT_number 67
_space_group_name_Hall '-C 2a 2'
_cell_length_a 6.001
_cell_length_b 13.705
_cell_length_c 5.783
_cell_angle_alpha 90.00
_cell_angle_beta 90.00
_cell_angle_gamma 90.00
loop_
_atom_site_label
_atom_site_type_symbol
_atom_site_fract_x
_atom_site_fract_y
_atom_site_fract_z
_atom_site_occupancy
Ac1 Ac 0.000 0.250 0.225 1
Ag1 Ag 0.000 0.000 0.000 1
Sn1 Sn 0.250 0.000 0.500 1
Pd1 Pd 0.000 0.151 0.695 1
```


This entry pairs a crystal structure of Y2Ho5Fe2 with its computed X-ray powder pattern. Radiation: Cu Ka. Structure: the GGA-PBE geometry in Alexandria.
Peak positions follow from Bragg's law for the DFT cell and can differ from measured ones.

The 10 most intense peaks (10 to 80 degrees two-theta), sorted by position:
2θ 28.89, 3.090 Å, intensity 41; 2θ 29.01, 3.078 Å, intensity 37; 2θ 31.28, 2.860 Å, intensity 100; 2θ 31.42, 2.847 Å, intensity 97; 2θ 33.89, 2.645 Å, intensity 67; 2θ 36.27, 2.477 Å, intensity 40; 2θ 36.40, 2.468 Å, intensity 47; 2θ 36.69, 2.450 Å, intensity 67; 2θ 41.03, 2.200 Å, intensity 34; 2θ 60.96, 1.520 Å, intensity 38

Crystal structure
```
data_Y2Ho5Fe2
└──

The retirement benefits helped me to advance projects that I have always been deeply passionate about, projects that would have a long-lasting impact on society, and will continue to thrive after my time. This kind of social project was not only fulfilling but also addressed a need I had identified over the course of many years.

Furthermore, the project has proven to be income generating, and has the potential to be profitable once fully operational. It aligns perfectly with the current needs of our country.

What message do you have for people struggling to save money, or having challenges with managing finances?

When you advise people to save, they always put it off, thinking that it is not for now, they believe you first spend and then save whatever is left later. My message to young people, especially is that if you are planning to live longer, note that today everything is different. Improved medical care, wellness programmes, higher levels of education, improved standards of living, mean that the mortality rates are lower and life expectancy is higher. It is sad to live longer when you are poor, and you become a burden to everybody. Social security is a means of saving for yourself. If you want to have a good life, you must plan better. Before you think of retirement, have a plan of how you will live your life after employment and that plan starts now.

As you are spending, put some money away to take care of yourself in the future. Saving is a reward to yourself and a way of shielding yourself from financial burdens that you may experience later in life.

Take care of the long-term benefits, in terms of medical products, investments, and saving for school fees.

Manage your debts better. For you to be able to clear a debt, either you have an investment to liquidate or savings to pay off the debt. Ensure you take care of your debts so that you are not tied down to working because of a running debt.

Financial independence should be the goal. Do not work because you have no option, live within your means, define your own success, and most importantly make sure you save to a point where your savings work for you.

What message do you have for people planning to take their retirement benefits?

Retirement does not mean stopping work and returning to one’s village to quietly await the end. It means planning for a long, fulfilling, and extended life during retirement. Retirement planning goes beyond finances; it is about taking charge of your life. It means waking up each day with the freedom to pursue your passions, wherever, whenever, and with whomever you choose. The goal is to retire from work, not from life itself. Money should serve as a way of enhancing your life experiences. Focus on having something to retire to, rather than merely retiring from your job.

If you do not have a plan for your savings yet, do not withdraw your money until you have one. Your benefits are very safe with NSSF. Until you have a plan, those benefits will be making more money for you in terms of earning interest through the power of compounding.

The NSSF team possesses expertise in various investment options, including real estate, equities, money markets, foreign exchange trading, treasury bills, and shares, all with competitive returns. When withdrawing your benefits, ensure you have an investment project offering better returns than NSSF.

Avoid investing in unfamiliar projects, especially those with long payback periods like real estate. Seek financial planning before committing your funds. Instead, consider withdrawing part of your benefits until you have a well-defined investment plan with superior returns.

There comes a time when liquidity is crucial, and your assets, such as land, may not provide immediate help. It is easier to withdraw retirement benefits from NSSF when needed, compared to selling property in emergencies.

As retirement approaches, view it as a transition from your current roles and responsibilities to a new phase with different ones. Reflect on:

• Data records from another source follow:
~~~
For CeMg2Ga2Ir, the GGA-PBE geometry in Alexandria gives the calculated powder XRD pattern in this record (Cu Kα (weighted mean of Kα1 and Kα2)).
Kinematic intensities with the Lorentz-polarization factor, no thermal factor.

Principal peaks in the range 10° ≤ 2θ ≤ 80°, low angle first:
| 2theta | d [Å] | I_rel | h k l |
| --- | --- | --- | --- |
| 25.0 | 3.558 | 100 | 1 1 0 |
| 29.8 | 2.996 | 44 | 1 1 2 |
| 32.2 | 2.779 | 32 | 0 0 4 |
| 35.7 | 2.516 | 62 | 2 0 0 |
| 41.2 | 2.190 | 40 | 1 1 4 |
| 48.8 | 1.865 | 40 | 2 0 4 |
| 51.4 | 1.779 | 22 | 2 2 0 |
| 58.0 | 1.591 | 20 | 3 1 0 |
| 61.9 | 1.498 | 20 | 2 2 4 |
| 67.9 | 1.381 | 18 | 3 1 4 |

abc: 5.0318 5.0318 11.1142
angles: 90.00 90.00 90.00
Sites, in units of the cell vectors:
Ce  0.0000  0.0000  0.0000
Ce  0.5000  0.5000  0.5000
Mg  0.0000  0.5000  0.2500
Mg  0.0000  0.5000  0.7500
Mg  0.5000  0.0000  0.2500
Mg  0.5000  0.0000  0.7500
Ga  0.0000  0.0000  0.2867
Ga  0.0000  0.0000  0.7133
Ga  0.5000  0.5000  0.2133
Ga  0.5000  0.5000  0.7867
Ir  0.0000  0.0000  0.5000
Ir  0.5000  0.5000  0.0000


1.
For CeSe2, a cell relaxed with PBE gives the computed powder X-ray diffraction pattern in this record (Cu Kα, 1.54184 Å).
Intensities are scaled so that the largest is 100.

Cell lengths 3.976, 15.774, 4.594 Å; angles 90.00, 90.00, 90.00 degrees
Space group Cmcm (No. 63)
Symmetry-distinct sites (fractional):
Ce  0.000  0.116  0.250
Se  0.000  0.245  0.750
Se  0.000  0.431  0.250

Principal peaks in the range 2θ = 10–90°, sorted by position:
28.1 deg, I 14, (1 3 0); 34.4 deg, I 100, (1 3 1); 39.2 deg, I 21, (0 0 2); 39.5 deg, I 16, (0 6 1); 45.6 deg, I 15, (2 0 0); 68.0 deg, I 13, (1 3 3)

***

2.
For LiBiP2O8, a cell relaxed with PBE gives the computed powder X-ray diffraction pattern in this record (Cu Kα, 1.54184 Å).
Intensities are scaled so that the largest is 100.

Cell lengths 7.656, 8.769, 8.769 Å; angles 60.02, 89.83, 89.90 degrees
Space group P1 (No. 1)
Symmetry-distinct sites (fractional):
Li  0.000  0.000  0.000
Li  0.004  0.668  0.668
Li  0.897  0.331  0.334
Bi  0.430  0.000  0.002
Bi  0.490  0.333  0.335
Bi  0.572  0.666  0.669
P  0.262  0.372  0.976
P  0.262  0.653  0.375
P  0.262  0.974  0.656
P  0.741  0.013  0.295
P  0.742  0.293  0.695
P  0.742  0.693  0.015
O  0.102  0.484  0.902
O  0.102  0.616  0.487
O  0.103  0.900  0.618
O  0.248  0.215  0.938
O  0.248  0.849  0.217
O  0.248  0.936  0.851
O  0.285  0.291  0.180
O  0.287  0.177  0.534
O  0.287  0.532  0.293
O  0.439  0.474  0.906
O  0.439  0.622  0.477
O  0.440  0.903  0.625
O  0.564  0.041  0.196
O  0.564  0.192  0.768
O  0.565  0.765  0.044
O  0.721  0.143  0.368
O  0.721  0.365  0.492
O  0.722  0.490  0.145
O  0.754  0.453  0.728
O  0.755  0.726  0.821
O  0.755  0.819  0.455
O  0.901  0.048  0.183
O  0.902  0.182  0.770
O  0.902  0.769  0.050

Principal peaks in the range 2θ = 10–90°, sorted by position:
~~~

  • Your readiness to leave your current job and title
  • The development of a distinct identity apart from your job or title
  • The assets and resources you have accumulated over your working years
  • Your plans for the 25+ years after retirement, including spending time with family and friends

Considering these factors will help you make informed decisions about your retirement benefits and the new chapter in your life.

Having accessed your retirement benefits, what advice do you have for the people saving or planning to start saving with NSSF?

The concept and awareness of saving is there, it is just that it is informal, not well regulated, and not well structured. Now you can with NSSF.

The new regulations make it possible for anyone to start saving with NSSF, without limitations on the nature of employment, the number of employees or voluntary contributions.

~~~
B: calculated X-ray powder pattern (CuKα), based on a structure optimized by DFT (PBE).
Intensities are scaled so that the largest is 100.

Structure:
Lattice parameters (Å, degrees): 1.7113 1.7113 3.7358 90.00 90.00 120.00
Fractional positions:
B (0.0000, 0.0000, 0.0000)

Largest 4 diffraction maxima, low angle first, 5 to 70 degrees two-theta:
23.8 deg, I = 100
48.8 deg, I = 8
62.7 deg, I = 9
68.1 deg, I = 15


Cs2BaTa6Br15O3: calculated X-ray powder pattern (CuKα), based on a structure optimized by DFT (PBE).
Intensities are scaled so that the largest is 100.

Structure:
Lattice parameters (Å, degrees): 9.9831 9.9831 18.7471 90.26 90.26 120.34
Fractional positions:
Cs (0.1654, 0.8330, 0.5404)
Cs (0.1670, 0.8346, 0.9596)
Cs (0.8330, 0.1654, 0.0404)
Cs (0.8346, 0.1670, 0.4596)
Ba (0.1672, 0.8328, 0.2500)
Ba (0.8328, 0.1672, 0.7500)
Ta (0.3136, 0.4840, 0.8155)
Ta (0.3236, 0.3351, 0.6877)
Ta (0.3328, 0.5165, 0.3126)
Ta (0.3351, 0.3236, 0.1877)
Ta (0.4835, 0.6672, 0.1874)
Ta (0.4840, 0.3136, 0.3155)
Ta (0.5160, 0.6864, 0.6845)
Ta (0.5165, 0.3328, 0.8126)
Ta (0.6649, 0.6764, 0.8123)
Ta (0.6672, 0.4835, 0.6874)
Ta (0.6764, 0.6649, 0.3123)
Ta (0.6864, 0.5160, 0.1845)
Br (0.0562, 0.4415, 0.8859)
Br (0.0590, 0.1154, 0.6152)
Br (0.0857, 0.2909, 0.2496)
Br (0.1154, 0.0590, 0.1152)
Br (0.1151, 0.5591, 0.3851)
Br (0.2825, 0.4830, 0.0907)
Br (0.2835, 0.2984, 0.4093)
Br (0.2909, 0.0857, 0.7496)
Br (0.2927, 0.7073, 0.7500)
Br (0.2970, 0.5135, 0.5909)
Br (0.2984, 0.2835, 0.9093)
Br (0.4415, 0.0562, 0.3859)
Br (0.4409, 0.8849, 0.1149)
Br (0.4830, 0.2825, 0.5907)
Br (0.4865, 0.7030, 0.9091)
Br (0.5135, 0.2970, 0.0909)
Br (0.5170, 0.7175, 0.4093)
Br (0.5591, 0.1151, 0.8851)
Br (0.5585, 0.9438, 0.6141)
Br (0.7016, 0.7165, 0.0907)
Br (0.7030, 0.4865, 0.4091)
Br (0.7073, 0.2927, 0.2500)
Br (0.7091, 0.9143, 0.2504)
Br (0.7165, 0.7016, 0.5907)
Br (0.7175, 0.5170, 0.9093)
Br (0.8849, 0.4409, 0.6149)
Br (0.8846, 0.9410, 0.8848)
Br (0.9143, 0.7091, 0.7504)
Br (0.9410, 0.8846, 0.3848)
Br (0.9438, 0.5585, 0.1141)
O (0.1610, 0.3321, 0.7498)
O (0.3291, 0.6709, 0.2500)
O (0.3321, 0.1610, 0.2498)
O (0.6679, 0.8390, 0.7502)
O (0.6709, 0.3291, 0.7500)
O (0.8390, 0.6679, 0.2502)

Largest 6 diffraction maxima, low angle first, 5 to 70 degrees two-theta:
9.4 deg, I = 54
10.2 deg, I = 100
13.9 deg, I = 34
33.4 deg, I = 49
39.8 deg, I = 26
40.9 deg, I = 21

~~~~~

# 1
Diffraction record for NdTm2In3Ni3. The powder XRD pattern is simulated, not measured: it uses a cell relaxed with GGA-PBE and Cu Kα X-rays.
Kinematic intensities with the Lorentz-polarization factor, no thermal factor.

Cell and atoms:
a = 3.769 Å, b = 7.457 Å, c = 7.457 Å
α = 119.74°, β = 90.00°, γ = 90.00°
Positions (direct):
Nd (0.000, 0.000, 0.000)
Tm (0.000, 0.180, 0.589)
Tm (0.000, 0.589, 0.180)
In (0.500, 0.339, 0.339)
In (0.500, 0.583, 0.844)
In (0.500, 0.844, 0.583)
Ni (0.000, 0.586, 0.586)
Ni (0.500, 0.259, 0.921)
Ni (0.500, 0.921, 0.259)
~~~
(End of the data records)

These changes offer flexibility to start your savings journey with NSSF.

Take advantage of the upcoming voluntary schemes and products that align with your means.

Allow your savings to generate returns and secure your retirement. Social security has evolved from relying on extended families to ensuring your ability to maintain your lifestyle beyond your working years.